• Listing:
For Ba2Co3AgF12, a cell relaxed with PBE+U gives the computed PXRD pattern in this record (Cu Ka).

Atomic structure:
Cell lengths 7.3907, 7.3907, 17.1030 Å; angles 90.00, 90.00, 120.00 degrees
Space group R-3m (No. 166, hexagonal axes)
Asymmetric unit:
Ba: 0.0000 0.0000 0.1130 [6 per cell]
Co: 0.0000 0.5000 0.0000 [9 per cell]
Ag: 0.0000 0.0000 0.5000 [3 per cell]
F: 0.0512 0.5256 0.3126 [18 per cell]
F: 0.0526 0.5263 0.8867 [18 per cell]

Peak list (10 most intense, 2θ from 15° to 90°, by angle)
hkl 1 1 0, 2θ 24.08, rel. 45.1; hkl 0 2 1, 2θ 28.37, rel. 48.1; hkl 1 1 3, 2θ 28.79, rel. 100.0; hkl 0 1 5, 2θ 29.61, rel. 49.8; hkl 2 0 2, 2θ 29.81, rel. 32.5; hkl 2 0 5, 2θ 38.52, rel. 27.4; hkl 0 3 3, 2θ 45.39, rel. 30.4; hkl 1 2 5, 2θ 45.95, rel. 32.3; hkl 2 2 0, 2θ 49.32, rel. 51.9; hkl 2 0 8, 2θ 51.40, rel. 22.2


For Ba2CoAg2Se2O2, a cell relaxed with PBE+U gives the computed PXRD pattern in this record (Cu Ka).

Atomic structure:
Cell lengths 4.1709, 4.1709, 21.3425 Å; angles 90.00, 90.00, 90.00 degrees
Space group I4/mmm (No. 139)
Asymmetric unit:
Ba: 0.0000 0.0000 0.0880 [4 per cell]
Co: 0.0000 0.0000 0.5000 [2 per cell]
Ag: 0.0000 0.5000 0.2500 [4 per cell]
Se: 0.0000 0.0000 0.3367 [4 per cell]
O: 0.0000 0.5000 0.0000 [4 per cell]

Peak list (10 most intense, 2θ from 15° to 90°, by angle)
hkl 1 0 5, 2θ 29.95, rel. 100.0; hkl 1 1 2, 2θ 31.47, rel. 56.3; hkl 1 1 4, 2θ 34.76, rel. 95.9; hkl 1 0 7, 2θ 36.50, rel. 54.1; hkl 2 0 0, 2θ 43.39, rel. 70.6; hkl 1 1 8, 2θ 45.87, rel. 23.0; hkl 2 1 5, 2θ 53.62, rel. 37.7; hkl 2 1 7, 2θ 57.96, rel. 27.5; hkl 2 2 0, 2θ 63.04, rel. 22.3; hkl 2 0 12, 2θ 69.45, rel. 35.1


# Cu9Au5
Computed powder diffraction line list, Cu Kα, 1.54184 Å. Input: a PBE-relaxed structure.
Peak positions follow from Bragg's law for the DFT cell and can differ from measured ones.

Cell and atoms:
```
data_Cu9Au5
_symmetry_space_group_name_H-M 'R -3 m'
_symmetry_Int_Tables_number 166
_symmetry_space_group_name_Hall '-R 3 2"'
_cell_length_a 4.8288
_cell_length_b 4.8288
_cell_length_c 29.8488
_cell_angle_alpha 90.00
_cell_angle_beta 90.00
_cell_angle_gamma 120.00
loop_
_atom_site_label
_atom_site_fract_x
_atom_site_fract_y
_atom_site_fract_z
Cu1 0.0000 0.0000 0.0000
Cu2 0.0000 0.0000 0.1383
Cu3 0.0030 0.5015 0.2643
Au1 0.0000 0.0000 0.2223
Au2 0.0000 0.0000 0.3196
Au3 0.0000 0.0000 0.5000
```

Most intense lines, 10 to 90 degrees two-theta, most intense first:
d/Å, intensity, index
2.414, 100, 1 1 0
2.276, 100, 0 1 11
1.366, 47, 1 2 11
2.172, 47, 1 1 6
2.013, 46, 0 2 4
1.952, 41, 1 1 9
2.071, 35, 2 0 2
2.986, 26, 1 0 7
1.207, 26, 2 2 0
4.027, 19, 0 1 2

# Ba2MgTcSe6
Computed powder diffraction line list, Cu Kα, 1.54184 Å. Input: a PBE-relaxed structure.
Peak positions follow from Bragg's law for the DFT cell and can differ from measured ones.

Cell and atoms:
```
data_Ba2MgTcSe6
_symmetry_space_group_name_H-M 'F m -3 m'
_symmetry_Int_Tables_number 225
_symmetry_space_group_name_Hall '-F 4 2 3'
_cell_length_a 10.1947
_cell_length_b 10.1947
_cell_length_c 10.1947
_cell_angle_alpha 90.00
_cell_angle_beta 90.00
_cell_angle_gamma 90.00
loop_
_atom_site_label
_atom_site_fract_x
_atom_site_fract_y
_atom_site_fract_z
Ba1 0.2500 0.2500 0.2500
Mg1 0.0000 0.0000 0.0000
Tc1 0.0000 0.0000 0.5000
Se1 0.0000 0.0000 0.2542
```

Most intense lines, 10 to 90 degrees two-theta, most intense first:
d/Å, intensity, index
2.549, 100, 4 0 0
2.943, 100, 2 2 2
1.802, 69, 4 4 0
1.537, 41, 6 2 2
3.604, 36, 2 2 0
1.140, 31, 8 4 0
1.471, 24, 4 4 4
1.169, 17, 6 6 2
2.081, 15, 4 2 2
5.886, 11, 1 1 1

# Ag17Bi
Computed powder diffraction line list, Cu Kα, 1.54184 Å. Input: a PBE-relaxed structure.
Peak positions follow from Bragg's law for the DFT cell and can differ from measured ones.

Cell and atoms:
```
data_Ag17Bi
_symmetry_space_group_name_H-M 'P 1 21/m 1'
_symmetry_Int_Tables_number 11
_symmetry_space_group_name_Hall '-P 2yb'
_cell_length_a 5.0392
_cell_length_b 5.8374
_cell_length_c 31.4185
_cell_angle_alpha 90.00
_cell_angle_beta 90.27

• What to do:
Echo the lines further up from the one with "Au3 0.0000" to the one with "1.366, 47," without altering anything.

• Worked solution:
Au3 0.0000 0.0000 0.5000
```

Most intense lines, 10 to 90 degrees two-theta, most intense first:
d/Å, intensity, index
2.414, 100, 1 1 0
2.276, 100, 0 1 11
1.366, 47, 1 2 11